........
No. 1
Molecular formula: C30H35Cl3O4Ru
Method: DFT, ωB97M-V with the def2-TZVPD basis set

Summary:
- energy above the lowest of the compared OMol25 structures with the same formula, charge and spin (kcal/mol) = 15.0
- total charge = +2
- E_LUMO (spin up / spin down) (eV) = -6.62 / -8.67
- multiplicity = 5

Geometry (Å):
Ru: -0.2779 -0.0263 -0.0099
Cl: 6.5159 -0.4367 2.1159
C: 4.8909 -0.0712 1.9106
C: 4.1917 -0.6888 0.8288
C: 2.9010 -0.3859 0.6751
Cl: 1.9716 -1.0628 -0.6498
C: 2.1925 0.5181 1.5592
O: 0.9730 0.7442 1.4465
C: 2.9651 1.1408 2.6193
Cl: 2.1732 2.2123 3.6464
C: 4.2775 0.8374 2.7850
H: 4.7030 -1.3685 0.1559
H: 4.8471 1.2990 3.5823
C: 5.2444 -2.4333 4.1389
C: 3.9677 -2.5283 3.3266
C: 3.8369 -3.4717 2.3097
C: 2.6616 -3.6148 1.5915
C: 2.5961 -4.6582 0.4825
C: 1.5734 -2.7708 1.9005
C: 0.3713 -2.9268 1.1111
O: -0.4686 -2.0257 0.9510
C: 1.6645 -1.8293 2.9540
C: 0.4807 -1.0350 3.5013
C: 2.8726 -1.7240 3.6302
H: 6.0860 -2.9075 3.6362
H: 5.1061 -2.9382 5.0980
H: 5.4988 -1.3952 4.3658
H: 4.6786 -4.1206 2.0812
H: 3.5726 -5.1199 0.3404
H: 2.2864 -4.2340 -0.4778
H: 1.8950 -5.4620 0.7300
H: 0.2154 -3.8745 0.5903
H: -0.4771 -1.3912 3.1400
H: 0.5525 0.0307 3.2606
H: 0.4815 -1.1085 4.5882
H: 2.9482 -1.0245 4.4621
C: -7.0586 -0.9575 -1.0138
C: -5.8335 -0.1055 -0.7937
C: -5.6549 1.0837 -1.4917
C: -4.5340 1.8708 -1.3172
C: -4.3991 3.1531 -2.1284
C: -3.5443 1.4265 -0.4135
C: -2.3442 2.1900 -0.3917
O: -1.1546 1.8203 -0.1045
C: -3.7509 0.2626 0.3708
C: -2.8798 -0.0809 1.5617
C: -4.8732 -0.4856 0.1540
H: -7.6750 -0.5845 -1.8307
H: -7.6678 -0.9801 -0.1074
H: -6.7749 -1.9895 -1.2293
H: -6.4156 1.4031 -2.1968
H: -5.2488 3.2642 -2.7961
H: -3.4964 3.1725 -2.7414
H: -4.3819 4.0337 -1.4806
H: -2.4172 3.2255 -0.6954
H: -1.8330 0.1163 1.4146
H: -2.9895 -1.1210 1.8513
H: -3.1429 0.5515 2.4119
H: -5.0464 -1.3765 0.7574
C: -0.5255 -2.0017 -3.0829
C: -1.2427 -0.7061 -2.7220
C: -0.4197 0.4959 -3.1600
C: -2.6067 -0.6809 -3.3663
O: -1.4604 -0.7160 -1.2653
H: -0.4425 -2.0859 -4.1710
H: -1.0864 -2.8585 -2.6993
H: 0.4869 -2.0272 -2.6589
H: -0.1842 0.4342 -4.2231
H: 0.5324 0.5569 -2.6253
H: -0.9670 1.4251 -2.9830
H: -2.5008 -0.7339 -4.4534
H: -3.1383 0.2411 -3.1092
H: -3.2012 -1.5320 -3.0243

***

No. 2
Molecular formula: C16H28AsN2O5RuSe2
Method: DFT, ωB97M-V with the def2-TZVPD basis set

Summary:
- total charge = 0
- E_LUMO (spin up / spin down) (eV) = -1.04 / -0.75
- multiplicity = 2

Geometry (Å):
Ru: -0.0130 0.1185 0.7916
O: -1.4521 4.8027 -0.2667
C: -0.6227 3.8129 -0.8235
C: 0.7233 3.8356 -0.0881
C: 1.3147 5.2632 -0.2626
O: 2.5433 5.4625 0.3845
C: 0.5155 3.6237 1.4150
Se: -0.7179 2.1846 2.0003
C: 1.7211 2.8552 -0.7060
Se: 1.1019 1.0370 -1.2040
H: -2.3489 4.6883 -0.5958
H: -0.4584 3.9901 -1.8975
H: -1.0731 2.8102 -0.7086
H: 0.5670 5.9894 0.0753
H: 1.5099 5.4410 -1.3232
H: 2.3960 5.5477 1.3322
H: 0.0802 4.5308 1.8427
H: 1.4681 3.4144 1.9088
H: 2.5727 2.7088 -0.0365
H: 2.0997 3.2712 -1.6419
C: 3.4499 0.0440 1.6423
O: 2.6406 -0.9621 2.2130
C: 1.3177 -0.6981 2.2747
O: 0.5434 -1.6008 2.5886
H: 4.4286 -0.0115 2.1151
H: 3.0026 1.0303 1.8064
H: 3.5390 -0.1378 0.5650
N: -1.1066 -2.8148 -4.0719
C: -0.3240 -3.7959 -3.5665
O: -0.1900 -4.8630 -4.1292
C: 0.3465 -3.5124 -2.2613
C: 1.0571 -4.5567 -1.6634
C: 1.7176 -4.3263 -0.4711
C: 1.6599 -3.0583 0.0859
N: 0.9765 -2.0609 -0.4659
C: 0.3422 -2.2846 -1.6111
H: -1.5130 -2.9753 -4.9789
H: -1.1774 -1.8992 -3.6686
H: 1.0788 -5.5181 -2.1573
H: 2.2751 -5.1083 0.0229
H: 2.1807 -2.8373 1.0068
H: -0.1596 -1.4120 -2.0199
C: -3.8593 -0.8841 0.1010
As: -2.1063 -1.2328 0.9312
C: -2.6746 -0.9492 2.7798
C: -2.1163 -3.1886 0.8745
H: -4.6260 -1.4736 0.6115
H: -3.8586 -1.1391 -0.9588
H: -4.1003 0.1752 0.2068
H: -3.5337 -1.5800 3.0197
H: -2.9467 0.1022 2.9215
H: -1.8492 -1.1854 3.4534
H: -3.0232 -3.5670 1.3523
H: -1.2410 -3.5575 1.4113
H: -2.0780 -3.5490 -0.1559

***

No. 3
Molecular formula: C36H77BCsI2MgN5O18PS
Method: DFT, ωB97M-V with the def2-TZVPD basis set

Summary:
- total charge = +1
- E_LUMO (eV) = -7.69

Geometry (Å):
........

The reader should reproduce the listing further above from the first line to the one with "-0.9588" word for word.

No. 1
Molecular formula: C30H35Cl3O4Ru
Method: DFT, ωB97M-V with the def2-TZVPD basis set

Summary:
- energy above the lowest of the compared OMol25 structures with the same formula, charge and spin (kcal/mol) = 15.0
- total charge = +2
- E_LUMO (spin up / spin down) (eV) = -6.62 / -8.67
- multiplicity = 5

Geometry (Å):
Ru: -0.2779 -0.0263 -0.0099
Cl: 6.5159 -0.4367 2.1159
C: 4.8909 -0.0712 1.9106
C: 4.1917 -0.6888 0.8288
C: 2.9010 -0.3859 0.6751
Cl: 1.9716 -1.0628 -0.6498
C: 2.1925 0.5181 1.5592
O: 0.9730 0.7442 1.4465
C: 2.9651 1.1408 2.6193
Cl: 2.1732 2.2123 3.6464
C: 4.2775 0.8374 2.7850
H: 4.7030 -1.3685 0.1559
H: 4.8471 1.2990 3.5823
C: 5.2444 -2.4333 4.1389
C: 3.9677 -2.5283 3.3266
C: 3.8369 -3.4717 2.3097
C: 2.6616 -3.6148 1.5915
C: 2.5961 -4.6582 0.4825
C: 1.5734 -2.7708 1.9005
C: 0.3713 -2.9268 1.1111
O: -0.4686 -2.0257 0.9510
C: 1.6645 -1.8293 2.9540
C: 0.4807 -1.0350 3.5013
C: 2.8726 -1.7240 3.6302
H: 6.0860 -2.9075 3.6362
H: 5.1061 -2.9382 5.0980
H: 5.4988 -1.3952 4.3658
H: 4.6786 -4.1206 2.0812
H: 3.5726 -5.1199 0.3404
H: 2.2864 -4.2340 -0.4778
H: 1.8950 -5.4620 0.7300
H: 0.2154 -3.8745 0.5903
H: -0.4771 -1.3912 3.1400
H: 0.5525 0.0307 3.2606
H: 0.4815 -1.1085 4.5882
H: 2.9482 -1.0245 4.4621
C: -7.0586 -0.9575 -1.0138
C: -5.8335 -0.1055 -0.7937
C: -5.6549 1.0837 -1.4917
C: -4.5340 1.8708 -1.3172
C: -4.3991 3.1531 -2.1284
C: -3.5443 1.4265 -0.4135
C: -2.3442 2.1900 -0.3917
O: -1.1546 1.8203 -0.1045
C: -3.7509 0.2626 0.3708
C: -2.8798 -0.0809 1.5617
C: -4.8732 -0.4856 0.1540
H: -7.6750 -0.5845 -1.8307
H: -7.6678 -0.9801 -0.1074
H: -6.7749 -1.9895 -1.2293
H: -6.4156 1.4031 -2.1968
H: -5.2488 3.2642 -2.7961
H: -3.4964 3.1725 -2.7414
H: -4.3819 4.0337 -1.4806
H: -2.4172 3.2255 -0.6954
H: -1.8330 0.1163 1.4146
H: -2.9895 -1.1210 1.8513
H: -3.1429 0.5515 2.4119
H: -5.0464 -1.3765 0.7574
C: -0.5255 -2.0017 -3.0829
C: -1.2427 -0.7061 -2.7220
C: -0.4197 0.4959 -3.1600
C: -2.6067 -0.6809 -3.3663
O: -1.4604 -0.7160 -1.2653
H: -0.4425 -2.0859 -4.1710
H: -1.0864 -2.8585 -2.6993
H: 0.4869 -2.0272 -2.6589
H: -0.1842 0.4342 -4.2231
H: 0.5324 0.5569 -2.6253
H: -0.9670 1.4251 -2.9830
H: -2.5008 -0.7339 -4.4534
H: -3.1383 0.2411 -3.1092
H: -3.2012 -1.5320 -3.0243

***

No. 2
Molecular formula: C16H28AsN2O5RuSe2
Method: DFT, ωB97M-V with the def2-TZVPD basis set

Summary:
- total charge = 0
- E_LUMO (spin up / spin down) (eV) = -1.04 / -0.75
- multiplicity = 2

Geometry (Å):
Ru: -0.0130 0.1185 0.7916
O: -1.4521 4.8027 -0.2667
C: -0.6227 3.8129 -0.8235
C: 0.7233 3.8356 -0.0881
C: 1.3147 5.2632 -0.2626
O: 2.5433 5.4625 0.3845
C: 0.5155 3.6237 1.4150
Se: -0.7179 2.1846 2.0003
C: 1.7211 2.8552 -0.7060
Se: 1.1019 1.0370 -1.2040
H: -2.3489 4.6883 -0.5958
H: -0.4584 3.9901 -1.8975
H: -1.0731 2.8102 -0.7086
H: 0.5670 5.9894 0.0753
H: 1.5099 5.4410 -1.3232
H: 2.3960 5.5477 1.3322
H: 0.0802 4.5308 1.8427
H: 1.4681 3.4144 1.9088
H: 2.5727 2.7088 -0.0365
H: 2.0997 3.2712 -1.6419
C: 3.4499 0.0440 1.6423
O: 2.6406 -0.9621 2.2130
C: 1.3177 -0.6981 2.2747
O: 0.5434 -1.6008 2.5886
H: 4.4286 -0.0115 2.1151
H: 3.0026 1.0303 1.8064
H: 3.5390 -0.1378 0.5650
N: -1.1066 -2.8148 -4.0719
C: -0.3240 -3.7959 -3.5665
O: -0.1900 -4.8630 -4.1292
C: 0.3465 -3.5124 -2.2613
C: 1.0571 -4.5567 -1.6634
C: 1.7176 -4.3263 -0.4711
C: 1.6599 -3.0583 0.0859
N: 0.9765 -2.0609 -0.4659
C: 0.3422 -2.2846 -1.6111
H: -1.5130 -2.9753 -4.9789
H: -1.1774 -1.8992 -3.6686
H: 1.0788 -5.5181 -2.1573
H: 2.2751 -5.1083 0.0229
H: 2.1807 -2.8373 1.0068
H: -0.1596 -1.4120 -2.0199
C: -3.8593 -0.8841 0.1010
As: -2.1063 -1.2328 0.9312
C: -2.6746 -0.9492 2.7798
C: -2.1163 -3.1886 0.8745
H: -4.6260 -1.4736 0.6115
H: -3.8586 -1.1391 -0.9588